Tuesday, September 27, 2011

Heart Links

Here are two links that I recently found while doing some additional research on Tommy's heart defect - ASD.  They are very clear, not too much medical lingo, and have a lot of helpful information.  Just wanted to share them with anyone who would like to read more about it.



We go back in 3 months (instead of 6 months as I recently posted) - not b/c of any medical reason but for us to be able to have a sit down with his cardiologist and get some miscommunications combed out and get some additional questions answered.

Mushy Monday!

I am so blessed to have so many wonderful things happen to me through out the week that when I start to think what I'm going to post about it's hard to pick one thing. And, obviously I don't usually only talk about one thing so who cares?!

My favorite thing about this week was going on a date with my husband! It had been far too long! We went to dinner, to Lowes, and a movie. Then we went to the grocery store to get ingredients to make chocolate chip cookies and we got a few other goodies and went home and relaxed - watched some shows and made the cookies and ate them! Kyle now prefers cookies from scratch but I can't seem to make them without them turning out cakey :( blah! They have a great taste but aren't chewy or cookie-like. So I asked a friend for a new recipe for next time b/c I've had her cookies and they are DELICIOUS! But this could be bad too, Kyle may request them far more often this way!

My parents are always so willing to watch Tommy and have him spend the night. And this week I NEEDED the break. Kyle knew I did too so he was all for it. Tommy has been sick, we're pretty sure he had Roseola, and it made for a very fussy, long, less sleep, filled week.

I really enjoyed being out to dinner with Kyle and getting to eat bites when ever I wanted to and not having to feed anyone else while I ate. It was very enjoyable. We saw the Rise of the Planet of the Apes movie and it was really good. Only bad part was I got a bad headache during the movie - I'm pretty sure it was from lack of sleep. When I go for a while on less sleep than I need I get bad headaches. But I took a little nap (way late at night when others are actually asleep for the night) while Kyle watched some shows when we got home and that made my headache go away, thankfully.

But the reason I loved this date is b/c I really enjoy spending alone time with Kyle. I'm so glad we still like each other. Obviously we love each other and we believe that it is a choice to love someone but sometimes in marriages you know two people love each other but they don't really appear to like each other any more. And I really like Kyle, a lot. He has such a great sense of humor and the Lord has made us very compatible. We have definitely grown more compatible with time and it makes life so much more fun.

And I will leave you with this AWESOME video of our little guy!

He makes it look super easy to do this - but it has taken him a long time to learn and he seemed to figure it out, out of no where. And for that we praise the Lord for Tommy's progress! Kyle laughs at me b/c I get so excited over every new thing that Tommy does but it really is a big deal.  Tommy has endured hours of therapy since he has been born so we CELEBRATE when he accomplishes something new!

== These calculated molecules were left in the piece by mistake ==
<<<
Entry from OMol25: an isolated molecule of C4H5NO2 (the ωB97M-V functional and the def2-TZVPD basis).

Calculated values
**Molar mass**: 99.1 g/mol
**ΔE to the lowest compared entry with this formula, charge and spin**: 191.3 kJ/mol
**E_tot**: -360.5966 a.u.
**HOMO energy**: -10.243 eV
**HOMO-LUMO gap**: 10.8 eV
**F_max**: 0.56 eV/Å

Element x y z (Å)
1 O -1.285 -0.090 -2.374
2 C -0.418 -0.082 -1.534
3 C -0.601 -0.726 -0.195
4 C 0.570 -0.989 0.703
5 N -0.324 0.100 0.986
6 C 0.179 1.403 0.842
7 O 1.347 1.700 0.832
8 H 0.549 0.428 -1.711
9 H -1.480 -1.362 -0.139
10 H 1.575 -0.719 0.385
11 H 0.507 -1.822 1.399
12 H -0.618 2.159 0.806

Here are the Löwdin charges for atoms 1 to 5, given in e:
1. O 0.071
2. C -0.218
3. C -0.183
4. C -0.070
5. N -0.009

=====

Entry from OMol25: an isolated molecule of C3H7NO3 in a non-equilibrium geometry (the ωB97M-V functional and the def2-TZVPD basis).

Calculated values
**Molar mass**: 105.1 g/mol
**ΔE to the lowest compared entry with this formula, charge and spin**: 145.9 kJ/mol
**E_tot**: -398.9821 a.u.
**HOMO energy**: -9.822 eV
**HOMO-LUMO gap**: 10.5 eV
**F_max**: 2.54 eV/Å

Element x y z (Å)
1 O -1.044 -1.402 2.031
2 C -0.428 -0.528 1.462
3 O 0.664 0.070 1.974
4 N -0.911 -0.031 0.258
5 C -0.034 0.774 -0.613
6 C 0.074 0.270 -2.040
7 O 1.368 0.711 -2.498
8 H 1.314 -0.618 2.196
9 H -1.618 -0.692 -0.015
10 H 0.956 0.846 -0.177
11 H -0.506 1.758 -0.608
12 H -0.035 -0.777 -2.295
13 H -0.661 0.868 -2.606
14 H 1.415 0.707 -3.457

Here are the Löwdin charges for atoms 1 to 5, given in e:
1. O 0.072
2. C -0.612
3. O 0.097
4. N 0.078
5. C -0.152

=====

Entry from OMol25: a cluster of 14 separate species, C56H112O14 in total in a non-equilibrium geometry (the ωB97M-V functional and the def2-TZVPD basis).

Calculated values
**Molar mass**: 1009.5 g/mol
**ΔE to the lowest compared entry with this formula, charge and spin**: 368.5 kJ/mol
**E_tot**: -3253.9112 a.u.
**HOMO energy**: -9.252 eV
**HOMO-LUMO gap**: 9.8 eV
**F_max**: 3.50 eV/Å

Element x y z (Å)
1 C 2.251 1.920 3.839
2 C 3.358 2.819 4.222
3 C 2.946 4.168 3.459
4 O 1.553 4.017 3.217
5 C 1.059 2.829 3.810
6 H 2.101 1.085 4.586
7 H 2.416 1.469 2.862
8 H 4.282 2.411 3.916
9 H 3.441 3.047 5.315
10 H 3.498 4.315 2.521
11 H 3.143 4.959 4.189
12 H 0.182 2.594 3.239
13 H 0.826 2.971 4.808
14 C 0.287 -3.556 -4.834
15 C -0.822 -4.511 -5.198
16 C -0.591 -5.565 -4.100
17 O 0.814 -5.703 -3.934
18 C 1.260 -4.352 -3.826
19 H -0.143 -2.725 -4.370
20 H 0.739 -3.215 -5.791
21 H -0.713 -4.990 -6.225
22 H -1.777 -4.009 -5.123
23 H -0.877 -6.612 -4.342
24 H -1.069 -5.328 -3.163
25 H 2.340 -4.314 -4.155
26 H 1.170 -3.926 -2.867
27 C -4.896 -1.819 -1.240
28 C -5.099 -2.042 -2.728
29 C -3.643 -1.841 -3.177
30 O -2.759 -2.102 -2.054
31 C -3.556 -2.568 -0.953
32 H -5.763 -2.128 -0.664
33 H -4.741 -0.761 -1.093
34 H -5.608 -1.146 -3.074
35 H -5.568 -3.059 -2.922
36 H -3.534 -0.727 -3.392
37 H -3.357 -2.479 -3.999
38 H -3.171 -2.190 -0.032
39 H -3.626 -3.624 -1.002
>>>
== End of the calculated molecules ==

Monday, September 19, 2011

Mushy Monday

So my Mushy Monday moment just happened. It wasn't really a big a moment just a casual conversation between neighbors. Our neighbors across the street go to their lake house occasionally and I keep an eye on their mail for them. They are a very sweet, kind hearted, older couple. Well he stopped by to see if he had any mail to pick up and we were talking about some random things. And we got on the subject of how I met a boy from St. Louis and married him. I explained how we met in college and he said he had remembered that and then he said, "You're a well educated woman to just be a babysitter." And in the back of my mind I thought it was a little rude but knowing this man and how he would never intentionally offend me, I thought for a split second and I smiled big back at him and said, "There's no other job I'd rather have in the world than watching that little boy." And he smiled back and said, "I know that."

Truth is I've always dreamed of being a "babysitter" to my very own children.  And it is so much more than babysitting. I'm still smiling when I think about what he said, and b/c I know Kyle will get a good laugh when I tell him the story.

I am so blessed to be able to stay at home with Tommy. I explained to my neighbor too that I would be so jealous if there was some one else getting to spend all this time with him instead of me.  (Now on teething days I might think differently ;)

Kyle and I both see it as a blessing. This is a huge sacrifice for Kyle b/c he's working and going to school at the same time. I remember when Kyle thought about cutting back on work so he could focus more on school, I was getting so frustrated with the conversation but didn't know how to word my feelings. And finally I just started crying and told him I felt like if he cut back on work that I would feel pressured to work and I didn't want to do that. And my sweet and encouraging husband explained that I could completely push that thought out of my head, his intentions would remain for me to stay at home with Tommy and that wouldn't change. And if financially we couldn't make it work he would just work more. Just one more reason I love that man and I can see how the Lord has made us fit together so very well.

_The text is interrupted by data records_
=====
# 1
The following is a DFT calculation (the ωB97M-V functional and the def2-TZVPD basis) of an isolated ion of composition C7H10NO and charge +1 in a non-equilibrium geometry.

LUMO (alpha / beta) (eV): -4.2 / -9.1
Energy (Ha): -402.21785
ΔE to the lowest compared entry with this formula, charge and spin (kcal per mole): 22.8
Spin multiplicity: 3
Kohn-Sham gap (alpha / beta) (Ha): 0.1687 / 0.1854
HOMO (alpha / beta) (eV): -8.8 / -14.1
Net charge: +1

Each line ends with the Mulliken spin population.
Cartesian coordinates (Å):
C 1.5542 -1.4779 0.6611  0.3508
C 1.6595 -1.4349 -0.6315  0.3756
C -1.8075 -1.1419 0.4480  0.5875
C 0.7408 -0.4083 1.2501  0.0157
C 0.8211 -0.3435 -1.1965  -0.0105
C 0.0518 0.1937 -0.0241  0.1326
C -2.2644 0.9023 -0.7984  0.0953
N -1.4539 -0.0606 -0.0391  -0.0198
O -2.0345 -2.1214 1.0166  0.2586
H 2.0024 -2.1718 1.3303  -0.0005
H 2.2022 -2.0009 -1.4899  -0.0038
H 0.2091 -0.7021 2.1399  0.0211
H 1.4850 0.3483 1.5987  0.0913
H 1.3296 0.4741 -1.7820  0.0659
H 0.1904 -0.7937 -2.0045  0.0833
H -0.0387 1.4215 0.0208  -0.0102
H -3.2042 0.5573 -1.0539  -0.0251
H -2.3838 1.8195 -0.1234  -0.0026
H -1.7577 1.0843 -1.7939  -0.0051

Cartesian forces, eV/Å:
-0.35 -0.35 6.34
0.75 0.76 -8.97
-2.38 1.63 -1.05
0.46 0.44 -2.01
-0.03 0.11 -0.46
-1.64 5.15 1.21
2.22 2.28 0.17
2.30 0.24 -0.87
-0.11 -4.25 2.28
0.54 -0.73 0.19
-0.55 0.35 2.45
-0.60 -0.05 0.19
-0.12 -0.14 0.02
0.15 -0.87 0.48
0.07 0.10 0.40
1.25 -2.94 -0.15
-1.85 -1.16 -0.03
0.28 -0.93 -1.40
-0.37 0.36 1.21

=====

# 2
The following is a DFT calculation (the ωB97M-V functional and the def2-TZVPD basis) of a 2-piece molecular cluster, C7H10NO2S2 overall in a non-equilibrium geometry.

LUMO (eV): 2.7
Energy (Ha): -1274.37101
ΔE to the lowest compared entry with this formula, charge and spin (kcal per mole): 0.0
Spin multiplicity: 1
Kohn-Sham gap (Ha): 0.2718
HOMO (eV): -4.7
Net charge: -1

Each line ends with the natural charge from an NBO analysis.
Cartesian coordinates (Å):
C 1.0406 -1.0525 1.2439  0.0655
C 0.6435 -1.4534 2.7033  0.7511
C 2.2355 -1.3178 0.6760  -0.4946
C 0.6086 -0.3244 -0.7683  0.0837
C -1.0684 -0.5805 -2.6415  -0.6212
C -0.9414 1.5625 -1.0838  -0.6177
C -0.1915 0.4338 -1.8477  -0.2567
N 0.0734 -0.5728 0.3772  -0.4564
O 0.2896 -0.5353 3.4934  -0.7699
O 0.7608 -2.6784 2.9643  -0.7384
S 2.2960 -0.7770 -0.9560  0.3396
S -1.2351 2.1145 3.0084  -0.4377
H -0.3465 1.1424 3.4143  0.2485
H 2.8874 -1.7301 1.4014  0.2589
H -2.1329 -0.4053 -2.5456  0.2170
H -0.8352 -1.6096 -2.3035  0.2246
H -0.5330 -0.5489 -3.6438  0.2082
H -1.3734 0.9596 -0.2797  0.2531
H -1.5936 1.9639 -1.8321  0.1978
H -0.1987 2.2823 -0.5209  0.2120
H 0.4162 0.9688 -2.4851  0.1911
H -0.8019 2.1581 1.6259  0.1414

Cartesian forces, eV/Å:
-1.43 -0.92 0.30
0.31 -0.61 0.58
-0.61 0.53 0.96
-0.23 0.83 -1.15
2.40 -0.21 -0.48
1.71 -1.15 1.20
-0.58 -1.03 2.68
0.87 0.53 0.10
0.30 -0.35 -0.72
-0.02 1.08 -0.49
-0.60 -0.05 0.61
0.60 0.41 -1.83
-0.21 -0.11 -0.55
1.57 -0.50 -0.44
-0.11 0.16 -0.59
-0.41 0.56 0.12
=====

I also see staying home with Tommy as much more than babysitting, obviously.  And here's the thing, people get paid to babysit so it is a job. And if I were to ever leave my son with a babysitter or nanny, you better believe they'd have to be the best of the best which means they would want to be paid bank b/c they'd actually care for and watch my son. And thankfully since we don't have bank to pay someone we have willing family, friends, church family to help us out when we need a break (and they are the best of the best babysitters)!

My best friend just had her first child this week, a precious little boy. And she was actually a nanny before. I can guarantee you after a few days of being a mom she would tell you how priceless and incomparable to being a nanny it already is.

Obviously I'm reading more into this comment then what he actually meant. And it's also a generational difference.  He probably didn't have the opportunity to go to college and really couldn't fathom if having had that opportunity, not putting it to use.

I hope Tommy and I have many, many more years of "babysitting" to spend together and to cherish and to know each other more and more.

Monday, September 12, 2011

Mushy Monday

Once again so many big/busy things have happened this past week. One great thing was Tommy and I (along with my parents and Granny Jane) were able to travel to see my sister and brother-in-law find out if they were having a boy or girl...well they're having a boy! And we all thought she was having a girl! Needless to say we were very excited!

We also celebrated my mom's birthday. Birthdays are so fun when everyone comes in town! We had a great time going out to eat, playing games, and celebrating our mom!

My mushy post will once again be about my sweet and precious little Mama's Boy! I feel bad b/c I've been complaining a lot about him being too much of a mama's boy. He doesn't even like for me to leave the room, he starts crying. It's sad. But I know he'll grow out of it and until then I just need to be patient with him and encourage him to play well on his own.

One of Tommy's favorite things is my hair. He LOVES it! And I am 100% okay with this, it's super sweet. It's like his security blanket. He holds on to it when I'm holding him and then when he's all snuggly, he lays back in my lap with his pacifier in his mouth and reaches back to play with my hair while we watch TV. I LOVE this! But the sweetest thing is now he will army crawl/roll across the room and come over, get on his knees (trying to climb) reach up my back (while leaning on it) and get my hair. RIDICULOUS! And oooooh so cute!

I have been doing my make up in the family room in front of a mirror we have for Tommy to play in front of. Well I sit on the floor to do this. So Tommy being halfway across the room, sees me sit down, and now starts to come over by me and tries to climb all over me and climb on my back to play with my hair, whether it's down or in a pony tail. I wish I could get this on video. But unfortunately there is not a camera that automatically starts filming when my little one does sweet, precious, and funny things.

Oh how I love my little boy and I don't want him to ever completely grow out of being a mama's boy.

Monday, September 5, 2011

Mushy Monday

So unless you have experienced what my Mushy Monday is about, you probably won't agree that it's super exciting. I say that because I never thought it was a big deal when this happened to other people. Well this week I found my best friend from elementary school on facebook! And we have been messaging each other back and forth - reminiscing and catching up on what's been happening for the past 13 years or so since we last saw each other.

It has been so much fun! It's like my mind kept all of these memories from 2nd grade stored some where and all of the sudden they're coming back.

Her name is Becky and she was such a sweet friend of mine. And after catching up with her through facebook I feel like we're still friends. Isn't it funny how someone you got along with in 2nd grade you could still get along with after all those years? There's a lot of changing and growing up that goes on in all those years.

Anyhow it has given me such joy to get to know her again. She moved away in 6th grade (I think I have that right) and we didn't keep in contact. Pre-facebook days. At first when I saw she had written on a mutual friend's facebook page, I couldn't decide if I should ask her to be my friend and what I should write in the message to let her know who I was. But I knew I was over thinking it, I knew I would've wanted her to ask to be my friend if she saw my name. So then I started to write her a message saying "I don't know if you remember me but..." then I realized how dumb that was and I figured if she didn't remember me then that would be weird. So we started writing back and forth and I've greatly,greatly enjoyed it.

Sweet childhood memories are absolutely precious! Childhood is such a care-free and innocent time. One thing I remember was going to Cincinnati with Becky and her family. We got to get out of school early, and we went to the zoo and an amusement park. I loved the zoo! I thought the Bald Eagles were especially neat. It was a blast! Probably my favorite part was getting to leave school early to go on vacation with my best friend! She has such a sweet family, and they were so kind to include me on their trip.

┌──
Record 1
2 unconnected molecules or ions with the total composition HNO3S, computed with ωB97M-V with the def2-TZVPD basis set.

Properties
Frontier orbital gap (alpha / beta) (eV): 8.0 / 7.5
Charge: 0

Cartesian coordinates (Å):
O -1.22 0.12 -1.36
O -0.46 -1.14 -3.03
N -0.47 -0.52 -1.99
O 1.04 -0.11 1.33
H 0.28 0.35 1.07
S 2.04 -0.36 0.11

Mulliken atomic charges, in units of e: number 1, O, carries -0.371; number 2, O, carries -0.397; number 3, N, carries 0.758; number 4, O, carries -0.364; number 5, H, carries 0.355; number 6, S, carries 0.019

Record 2
2 unconnected molecules or ions with the total composition HNO4, computed with ωB97M-V with the def2-TZVPD basis set.

Properties
Frontier orbital gap (alpha / beta) (eV): 9.4 / 9.6
Charge: 0

Cartesian coordinates (Å):
H 1.02 0.66 -0.34
O 0.15 0.77 -0.94
O -1.45 -1.06 0.84
O 0.37 -0.15 1.66
N -0.46 -0.41 0.85
O 0.36 0.18 -2.07

Mulliken atomic charges, in units of e: number 1, H, carries 0.421; number 2, O, carries -0.178; number 3, O, carries -0.392; number 4, O, carries -0.407; number 5, N, carries 0.771; number 6, O, carries -0.215

Record 3
2 unconnected molecules or ions with the total composition HNO4S, computed with ωB97M-V with the def2-TZVPD basis set.

Properties
Frontier orbital gap (alpha / beta) (eV): 8.0 / 9.0
Charge: 0

Cartesian coordinates (Å):
O -3.03 -0.68 -0.21
O 1.84 -0.24 0.46
H 2.21 0.51 -0.11
O 1.90 -1.47 -0.12
N -0.82 0.34 -0.05
S -2.36 0.61 -0.04
O 0.26 0.92 0.07

Mulliken atomic charges, in units of e: number 1, O, carries -0.443; number 2, O, carries -0.165; number 3, H, carries 0.398; number 4, O, carries -0.185; number 5, N, carries 0.335; number 6, S, carries 0.424; number 7, O, carries -0.363

Electronic energy / eV: -18478.6228 -9688.1002 -20522.6135
Energy above the lowest of the compared OMol25 structures with the same formula, charge and spin / kcal/mol: 47.07 26.50 125.71

----------

Record 1
Density functional theory data (ωB97M-V with the def2-TZVPD basis set) for the ion C2H5N2S with charge +1.

```
10
C2H5N2S, DFT ωB97M-V with the def2-TZVPD basis set
H -1.65 1.43 -0.14
N -0.70 1.58 -0.07
C 0.20 0.73 -0.04
N 0.02 -0.77 -0.14
C 1.68 0.90 0.07
S 2.94 -0.27 0.04
H -0.02 -1.10 -1.03
H -0.81 -1.00 0.43
H 1.07 -1.14 0.20
H 2.06 1.92 0.02
```

structure (SMILES): [H]/N=C(\[NH3+])C=S
calculated total energy: -15961.17211 eV
energy relative to the best compared isomer or geometry (same formula, charge and spin): 1.766 eV
net charge: +1

Mulliken atomic charge list, values in e, 8 entries: number 1, H, carries 0.25; number 2, N, carries -0.43; number 3, C, carries 0.59; number 4, N, carries -0.29; number 5, C, carries -0.31; number 6, S, carries -0.12; number 7, H, carries 0.30; number 8, H, carries 0.37

Record 2
Density functional theory data (ωB97M-V with the def2-TZVPD basis set) for the ion C2H5N2Si with charge +1.

```
10
C2H5N2Si, DFT ωB97M-V with the def2-TZVPD basis set
C -2.57 0.74 -0.13
C -0.61 -0.72 -0.05
N -1.53 0.18 0.05
N 0.79 -0.58 -0.09
└──

I hope Tommy has great friends in his life as he grows up too.